Retype the whole of the lines below verbatim.
Li3VBPO7 PBE with a Hubbard U relaxed; VASP energy = -179.02 eV for the cell shown; crystal system = monoclinic; space group = P2_1/m, No. 11
1.0
5.0708 0.0000 0.0000
0.0000 6.4129 0.0000
-0.8584 0.0000 8.4319
Li V B P O
6 2 2 2 14
direct
0.2294 0.2500 0.0952
0.2607 0.5017 0.7622
0.2607 0.9983 0.7622
0.7393 0.0017 0.2378
0.7393 0.4983 0.2378
0.7706 0.7500 0.9048
0.2129 0.7500 0.3206
0.7871 0.2500 0.6794
0.3001 0.7500 0.0409
0.6999 0.2500 0.9591
0.2643 0.2500 0.4185
0.7357 0.7500 0.5815
0.0421 0.7500 0.0837
0.1358 0.2500 0.5756
0.1688 0.0625 0.3097
0.1688 0.4375 0.3097
0.3748 0.7500 0.8918
0.4312 0.7500 0.5462
0.4919 0.7500 0.1765
0.5081 0.2500 0.8235
0.5688 0.2500 0.4538
0.6252 0.2500 0.1082
0.8312 0.5625 0.6903
0.8312 0.9375 0.6903
0.8642 0.7500 0.4244
0.9579 0.2500 0.9163

----------

# 1
Density functional theory data (GGA-PBE) for MnMo2Ru after structural relaxation.

Output
**Final energy**: -39.83 eV for the cell shown
**Total magnetization**: 0.734 μB/atom
**Space group**: Pmmm (47)
**ΔE to the lowest computed polymorph**: 0 meV per atom
**ΔH_f (0 K)**: 0.068 eV per atom

a = 3.152 Å, b = 4.291 Å, c = 4.342 Å
α = 90.00°, β = 90.00°, γ = 90.00°
Fractional positions:
Mn1 0.000 0.000 0.000
Mo1 0.000 0.500 0.500
Mo2 0.500 0.000 0.500
Ru1 0.500 0.500 0.000

=====

# 2
Density functional theory data (GGA-PBE) for TbDyHo after structural relaxation.

Output
**Final energy**: -13.75 eV for the cell shown
**Total magnetization**: 0.000 μB/atom
**Space group**: I4mm (107)
**ΔE to the lowest computed polymorph**: 2 meV per atom
**ΔH_f (0 K)**: 0.019 eV per atom

a = 7.914 Å, b = 7.914 Å, c = 7.914 Å
α = 154.21°, β = 154.21°, γ = 36.79°
Fractional positions:
Tb1 0.000 0.000 0.000
Dy1 0.333 0.333 0.000
Ho1 0.667 0.667 0.000

=====

# 3
Density functional theory data (GGA-PBE) for SmHfBi after structural relaxation.

Output
**Final energy**: -39.96 eV for the cell shown
**Total magnetization**: 0.000 μB/atom
**Space group**: P4/nmm (129)
**ΔH_f (0 K)**: -0.475 eV per atom

a = 4.399 Å, b = 4.399 Å, c = 8.491 Å
α = 90.00°, β = 90.00°, γ = 90.00°
Fractional positions:
Sm1 0.250 0.250 0.151
Sm2 0.750 0.750 0.849
Hf1 0.250 0.750 0.500
Hf2 0.750 0.250 0.500
Bi1 0.250 0.250 0.762
Bi2 0.750 0.750 0.238

=====

Look up the final energy of the second one.
-13.75 eV for the cell shown

=====

Among the records above, which one has the highest final energy?
TbDyHo

=====

Among the records above, which one has the lowest ΔH_f (0 K)?
SmHfBi

=====

Copy entry 1 word for word.
Density functional theory data (GGA-PBE) for MnMo2Ru after structural relaxation.

Output
**Final energy**: -39.83 eV for the cell shown
**Total magnetization**: 0.734 μB/atom
**Space group**: Pmmm (47)
**ΔE to the lowest computed polymorph**: 0 meV per atom
**ΔH_f (0 K)**: 0.068 eV per atom

a = 3.152 Å, b = 4.291 Å, c = 4.342 Å
α = 90.00°, β = 90.00°, γ = 90.00°
Fractional positions:
Mn1 0.000 0.000 0.000
Mo1 0.000 0.500 0.500
Mo2 0.500 0.000 0.500
Ru1 0.500 0.500 0.000
Li3VBPO7 PBE with a Hubbard U relaxed; VASP energy = -179.02 eV for the cell shown; crystal system = monoclinic; space group = P2_1/m, No. 11
1.0
5.0708 0.0000 0.0000
0.0000 6.4129 0.0000
-0.8584 0.0000 8.4319
Li V B P O
6 2 2 2 14
direct
0.2294 0.2500 0.0952
0.2607 0.5017 0.7622
0.2607 0.9983 0.7622
0.7393 0.0017 0.2378
0.7393 0.4983 0.2378
0.7706 0.7500 0.9048
0.2129 0.7500 0.3206
0.7871 0.2500 0.6794
0.3001 0.7500 0.0409
0.6999 0.2500 0.9591
0.2643 0.2500 0.4185
0.7357 0.7500 0.5815
0.0421 0.7500 0.0837
0.1358 0.2500 0.5756
0.1688 0.0625 0.3097
0.1688 0.4375 0.3097
0.3748 0.7500 0.8918
0.4312 0.7500 0.5462
0.4919 0.7500 0.1765
0.5081 0.2500 0.8235
0.5688 0.2500 0.4538
0.6252 0.2500 0.1082
0.8312 0.5625 0.6903
0.8312 0.9375 0.6903
0.8642 0.7500 0.4244
0.9579 0.2500 0.9163

----------

# 1
Density functional theory data (GGA-PBE) for MnMo2Ru after structural relaxation.

Output
**Final energy**: -39.83 eV for the cell shown
**Total magnetization**: 0.734 μB/atom
**Space group**: Pmmm (47)
**ΔE to the lowest computed polymorph**: 0 meV per atom
**ΔH_f (0 K)**: 0.068 eV per atom

a = 3.152 Å, b = 4.291 Å, c = 4.342 Å
α = 90.00°, β = 90.00°, γ = 90.00°
Fractional positions:
Mn1 0.000 0.000 0.000
Mo1 0.000 0.500 0.500
Mo2 0.500 0.000 0.500
Ru1 0.500 0.500 0.000

=====

# 2
Density functional theory data (GGA-PBE) for TbDyHo after structural relaxation.

Output
**Final energy**: -13.75 eV for the cell shown
**Total magnetization**: 0.000 μB/atom
**Space group**: I4mm (107)
**ΔE to the lowest computed polymorph**: 2 meV per atom
**ΔH_f (0 K)**: 0.019 eV per atom

a = 7.914 Å, b = 7.914 Å, c = 7.914 Å
α = 154.21°, β = 154.21°, γ = 36.79°
Fractional positions:
Tb1 0.000 0.000 0.000
Dy1 0.333 0.333 0.000
Ho1 0.667 0.667 0.000

=====

# 3
Density functional theory data (GGA-PBE) for SmHfBi after structural relaxation.

Output
**Final energy**: -39.96 eV for the cell shown
**Total magnetization**: 0.000 μB/atom
**Space group**: P4/nmm (129)
**ΔH_f (0 K)**: -0.475 eV per atom

a = 4.399 Å, b = 4.399 Å, c = 8.491 Å
α = 90.00°, β = 90.00°, γ = 90.00°
Fractional positions:
Sm1 0.250 0.250 0.151
Sm2 0.750 0.750 0.849
Hf1 0.250 0.750 0.500
Hf2 0.750 0.250 0.500
Bi1 0.250 0.250 0.762
Bi2 0.750 0.750 0.238

=====

Look up the final energy of the second one.
-13.75 eV for the cell shown

=====

Among the records above, which one has the highest final energy?
TbDyHo

=====

Among the records above, which one has the lowest ΔH_f (0 K)?
SmHfBi

=====

Copy entry 1 word for word.
Density functional theory data (GGA-PBE) for MnMo2Ru after structural relaxation.

Output
**Final energy**: -39.83 eV for the cell shown
**Total magnetization**: 0.734 μB/atom
**Space group**: Pmmm (47)
**ΔE to the lowest computed polymorph**: 0 meV per atom
**ΔH_f (0 K)**: 0.068 eV per atom

a = 3.152 Å, b = 4.291 Å, c = 4.342 Å
α = 90.00°, β = 90.00°, γ = 90.00°
Fractional positions:
Mn1 0.000 0.000 0.000
Mo1 0.000 0.500 0.500
Mo2 0.500 0.000 0.500
Ru1 0.500 0.500 0.000